### Source
=====
Molecular formula: C6H12BrNO
Method: DFT, ωB97M-V/def2-TZVPD

Properties
HOMO level (spin up / spin down): -0.282 / -0.282 Ha
orbital gap (spin up / spin down): 8.414 / 8.413 eV

CARTESIAN COORDINATES (ANGSTROEM)
H1 -4.10 -0.29 -0.85
C1 2.12 1.57 1.21
H2 -3.77 -0.76 0.84
N1 0.66 -1.72 -1.16
H3 1.53 -1.79 -1.75
H4 2.03 0.92 2.04
C2 -2.06 -0.95 -0.36
O1 2.40 1.36 -1.22
Br1 3.67 -0.70 0.17
H5 -1.74 -0.91 -1.41
C3 0.44 -0.76 -0.44
H6 2.87 0.78 -1.84
H7 -1.95 -1.99 -0.01
C4 2.20 0.69 0.03
H8 1.17 2.13 1.09
H9 -0.70 0.72 0.36
C5 -0.70 -0.34 0.36
H10 3.03 2.15 1.30
C6 -3.37 -0.31 -0.04
H11 -0.54 -0.63 1.43
H12 -3.20 0.82 0.24

=====

Molecular formula: C6H12BrNOSi
Method: DFT, ωB97M-V/def2-TZVPD

Properties
HOMO level: -0.341 Ha
orbital gap: 10.065 eV

CARTESIAN COORDINATES (ANGSTROEM)
Br1 2.84 2.86 -0.58
H1 -0.77 -1.18 1.06
H2 1.61 0.91 1.38
H3 0.11 1.39 -1.83
H4 3.16 -2.56 -0.14
C1 -1.48 -0.46 1.48
Si1 1.80 0.95 -0.08
C2 0.11 0.82 -0.91
O1 -0.82 2.44 0.54
H5 -1.00 0.12 2.26
H6 -0.07 -0.22 -1.15
H7 -3.65 0.15 -0.80
H8 -2.11 -0.12 -1.59
C3 -2.65 -0.23 -0.65
C4 -0.94 1.34 0.05
N1 -2.00 0.47 0.46
H9 -2.32 -1.01 1.89
H10 -2.74 -1.28 -0.44
C5 2.80 -0.55 -0.61
H11 2.04 -1.65 1.01
H12 3.44 -0.54 -1.47
C6 2.65 -1.65 0.12

=====

Molecular formula: C6H12Cl3NaO18
Method: DFT, ωB97M-V/def2-TZVPD

Properties
HOMO level: -0.160 Ha
orbital gap: 8.387 eV
total charge: -2

CARTESIAN COORDINATES (ANGSTROEM)
O1 -7.22 -16.05 -2.60
O2 -7.31 -16.77 -0.59
C1 -7.50 -15.07 -3.57
H1 -12.90 -13.63 1.19
O3 -10.93 -18.71 -1.31
O4 -12.55 -18.48 -2.98
H2 -8.67 -17.10 0.92
O5 -9.70 -15.56 4.02
O6 -12.76 -17.27 -0.93
Cl1 -10.82 -15.51 3.10
Cl2 -11.84 -17.78 -1.95
O7 -14.81 -13.70 -2.05
H3 -13.97 -15.12 -3.31
O8 -11.00 -16.79 2.47
C2 -13.83 -13.39 -1.23
O9 -9.43 -9.96 -1.70
O10 -11.13 -16.66 -2.50
O11 -12.01 -15.15 3.83
H4 -6.58 -14.66 -3.99
H5 -15.38 -14.10 -3.90
C3 -7.66 -16.70 0.79
H6 -14.01 -12.51 1.86
O12 -14.30 -12.88 -0.12
C4 -14.44 -14.14 -3.35
H7 -6.97 -17.35 1.32
O13 -10.56 -14.53 2.06
H8 -8.11 -15.50 -4.38
H9 -8.15 -14.25 -3.25
O14 -11.47 -10.79 -2.40
O15 -8.51 -14.98 -1.08
C5 -7.72 -15.82 -1.40
H10 -7.53 -15.69 1.17
C6 -13.41 -12.68 0.97
O16 -12.67 -13.52 -1.49
Cl3 -10.30 -11.11 -1.58
O17 -9.70 -12.29 -2.11
Na1 -10.77 -14.55 -0.72
O18 -10.55 -11.34 -0.19
H11 -12.60 -11.97 0.83
H12 -13.72 -13.49 -3.85

=====

Molecular formula: C6H12ClIrN2
Method: DFT, ωB97M-V/def2-TZVPD

Properties
HOMO level (spin up / spin down): -0.325 / -0.472 Ha
<S²>: 8.78
multiplicity: 6
orbital gap (spin up / spin down): 5.467 / 5.128 eV
total charge: +1

CARTESIAN COORDINATES (ANGSTROEM)
H1 1.38 0.67 -2.35
H2 3.63 2.37 4.06
N1 1.31 0.89 1.31
H3 -1.39 0.27 -0.79
C1 1.12 2.17 1.75
C2 2.29 0.13 1.88
H4 -0.58 -1.53 -1.57
C3 2.99 1.94 3.29
H5 -1.44 -0.23 -2.37
H6 2.51 0.59 -1.24
H7 2.32 -0.91 1.51
C4 -1.29 -0.72 -1.40
N2 1.55 0.90 -1.38
C5 3.12 0.63 2.85
H8 3.89 -0.04 3.28
C6 1.96 2.71 2.72
H9 1.63 1.92 -1.40
H10 -2.18 -1.20 -1.01
H11 -0.18 -1.13 0.79
Ir1 0.11 0.23 -0.07
H12 0.31 2.71 1.30
Cl1 1.71 4.33 3.24

=====

Molecular formula: C6H12ClLiO10S2
Method: DFT, ωB97M-V/def2-TZVPD

Properties
HOMO level: 0.049 Ha
orbital gap: 1.727 eV
total charge: -2

CARTESIAN COORDINATES (ANGSTROEM)
O1 22.64 -25.12 -17.87
O2 16.79 -24.66 -20.14
H1 21.40 -24.97 -16.26
O3 16.00 -25.94 -18.22
C1 15.62 -25.35 -17.04
Li1 20.99 -24.06 -21.08
H2 16.26 -25.57 -16.18
H3 19.77 -15.40 -18.74
H4 21.48 -15.57 -19.20
C2 21.89 -25.76 -16.83
O4 14.63 -25.87 -20.45
S1 19.66 -18.40 -19.30
O5 19.91 -19.48 -20.26
C3 21.01 -17.04 -17.63
H5 20.99 -26.12 -17.33
C4 22.37 -27.00 -15.94
H6 22.97 -26.60 -15.12
O6 18.32 -18.24 -18.71
H7 16.24 -23.20 -17.39
H8 14.70 -25.91 -16.86
O7 20.21 -16.93 -19.87
C5 15.38 -23.86 -17.39
O8 20.89 -18.35 -18.11
S2 15.54 -25.12 -19.59
H9 20.24 -16.86 -16.89
H10 21.96 -16.75 -17.17
Cl1 23.16 -25.40 -23.58
H11 14.56 -23.56 -16.73
C6 20.61 -16.09 -18.79
H12 21.46 -27.46 -15.56
O9 14.73 -23.98 -18.57
O10 23.26 -27.97 -16.52

=====

Molecular formula: C6H12ClNO3
Method: DFT, ωB97M-V/def2-TZVPD
=====

### Job
Give back the lines above up to the one that holds "-0.325", that line included.

### Here it is
Molecular formula: C6H12BrNO
Method: DFT, ωB97M-V/def2-TZVPD

Properties
HOMO level (spin up / spin down): -0.282 / -0.282 Ha
orbital gap (spin up / spin down): 8.414 / 8.413 eV

CARTESIAN COORDINATES (ANGSTROEM)
H1 -4.10 -0.29 -0.85
C1 2.12 1.57 1.21
H2 -3.77 -0.76 0.84
N1 0.66 -1.72 -1.16
H3 1.53 -1.79 -1.75
H4 2.03 0.92 2.04
C2 -2.06 -0.95 -0.36
O1 2.40 1.36 -1.22
Br1 3.67 -0.70 0.17
H5 -1.74 -0.91 -1.41
C3 0.44 -0.76 -0.44
H6 2.87 0.78 -1.84
H7 -1.95 -1.99 -0.01
C4 2.20 0.69 0.03
H8 1.17 2.13 1.09
H9 -0.70 0.72 0.36
C5 -0.70 -0.34 0.36
H10 3.03 2.15 1.30
C6 -3.37 -0.31 -0.04
H11 -0.54 -0.63 1.43
H12 -3.20 0.82 0.24

=====

Molecular formula: C6H12BrNOSi
Method: DFT, ωB97M-V/def2-TZVPD

Properties
HOMO level: -0.341 Ha
orbital gap: 10.065 eV

CARTESIAN COORDINATES (ANGSTROEM)
Br1 2.84 2.86 -0.58
H1 -0.77 -1.18 1.06
H2 1.61 0.91 1.38
H3 0.11 1.39 -1.83
H4 3.16 -2.56 -0.14
C1 -1.48 -0.46 1.48
Si1 1.80 0.95 -0.08
C2 0.11 0.82 -0.91
O1 -0.82 2.44 0.54
H5 -1.00 0.12 2.26
H6 -0.07 -0.22 -1.15
H7 -3.65 0.15 -0.80
H8 -2.11 -0.12 -1.59
C3 -2.65 -0.23 -0.65
C4 -0.94 1.34 0.05
N1 -2.00 0.47 0.46
H9 -2.32 -1.01 1.89
H10 -2.74 -1.28 -0.44
C5 2.80 -0.55 -0.61
H11 2.04 -1.65 1.01
H12 3.44 -0.54 -1.47
C6 2.65 -1.65 0.12

=====

Molecular formula: C6H12Cl3NaO18
Method: DFT, ωB97M-V/def2-TZVPD

Properties
HOMO level: -0.160 Ha
orbital gap: 8.387 eV
total charge: -2

CARTESIAN COORDINATES (ANGSTROEM)
O1 -7.22 -16.05 -2.60
O2 -7.31 -16.77 -0.59
C1 -7.50 -15.07 -3.57
H1 -12.90 -13.63 1.19
O3 -10.93 -18.71 -1.31
O4 -12.55 -18.48 -2.98
H2 -8.67 -17.10 0.92
O5 -9.70 -15.56 4.02
O6 -12.76 -17.27 -0.93
Cl1 -10.82 -15.51 3.10
Cl2 -11.84 -17.78 -1.95
O7 -14.81 -13.70 -2.05
H3 -13.97 -15.12 -3.31
O8 -11.00 -16.79 2.47
C2 -13.83 -13.39 -1.23
O9 -9.43 -9.96 -1.70
O10 -11.13 -16.66 -2.50
O11 -12.01 -15.15 3.83
H4 -6.58 -14.66 -3.99
H5 -15.38 -14.10 -3.90
C3 -7.66 -16.70 0.79
H6 -14.01 -12.51 1.86
O12 -14.30 -12.88 -0.12
C4 -14.44 -14.14 -3.35
H7 -6.97 -17.35 1.32
O13 -10.56 -14.53 2.06
H8 -8.11 -15.50 -4.38
H9 -8.15 -14.25 -3.25
O14 -11.47 -10.79 -2.40
O15 -8.51 -14.98 -1.08
C5 -7.72 -15.82 -1.40
H10 -7.53 -15.69 1.17
C6 -13.41 -12.68 0.97
O16 -12.67 -13.52 -1.49
Cl3 -10.30 -11.11 -1.58
O17 -9.70 -12.29 -2.11
Na1 -10.77 -14.55 -0.72
O18 -10.55 -11.34 -0.19
H11 -12.60 -11.97 0.83
H12 -13.72 -13.49 -3.85

=====

Molecular formula: C6H12ClIrN2
Method: DFT, ωB97M-V/def2-TZVPD

Properties
HOMO level (spin up / spin down): -0.325 / -0.472 Ha